[MoD] Battle Orders Tutorial

Day 2,033, 13:19 Published in Switzerland Switzerland by Swiss Dep. of Defence

Dear citizens,

I'll introduce you to the MoD Battle Orders & war strategy.

A war, what is it?

War is one very important aspect of eRepublik. It as an influence on everything!

A war can be declare by two ways:
-Voting a country with common borders as natural enemy
-Voting an airstrike after the country have received enough energy and money
-Simply declaring war and using golds

How ends a war?

-When two countries has no more common borders, the war ends

How works campaingns & battles?

Battles are fights we you are influencing the system. Each campaign results a lose, win or a maintain of a territory.

A campaing is divide in several battles. A battle has a simple working system: each side has a total number of damage thanks to what fighters did. The side with the most damage is earning domination points. The first side that get 1800 domination points win the battle and points for the campaing. If D1 win, they get 1pt for the campaign. D2=2pts, D3=3pts, D4=5pts. A country need 83pts to win the campaing.

So Domination points are earned while a country as more damage than the other one. This is show thanks to the bar with percentage. If a country as more than 50%, it means they are leading and earning points.

The time down the bar is the time since the battle started. Between 0-30 minutes, the country in the win earn 10 points every minutes. Between 31-60, 20 points. Between 61-90, 30 points. Between 91-120, 60 points.

You can conclude therefore that battles can easily change after 91 minutes, but a country in the lead since the start win in 1h30 and the battle cannot last more than 2h.

There are some awards given to best fighters of each divisions called Battle Hero medal (BH). The best fighter from all divisions receive the Campaign Hero medal (CH).

It is very important to save damage! If you country is leading by 69% in this battle and win the battle, they can next battle loose by 49.99%! In the total, your country would have won but imagine it was division 4, it is now 5-5 at the country scoreboard. The best moment for fighting is when your country is loosing or is below 55%. The % difference (55%-45%=10😵 is called the wall.

If you have to choose a battle to fight, choose one with a wall inferior to 55%.

Dealing damage: all about sparing

What comes next are calculated crystals, not part of the page:
#1
DFT (PBE-GGA) results for crystalline Cs2SnP at its relaxed geometry.

Values from the calculation:
Total magnetic moment, μB per formula unit: 0.986

a = 6.187 Å, b = 6.187 Å, c = 6.187 Å
α = 60.00°, β = 60.00°, γ = 60.00°
Last column: magnetic moment on the atom in μB.
Element x y z (fractional)
Sn 0.500 0.500 0.500  0.60
Cs 0.750 0.750 0.750  0.04
P 0.000 0.000 0.000  -0.27
Cs 0.250 0.250 0.250  0.04

=====

#2
DFT (PBE-GGA) results for crystalline Cs2SnP at its relaxed geometry.

Values from the calculation:
Total magnetic moment, μB per formula unit: 0.000

a = 13.716 Å, b = 13.716 Å, c = 10.042 Å
α = 46.93°, β = 46.93°, γ = 90.00°
Element x y z (fractional)
P 0.250 0.750 0.500
Cs 0.375 0.562 0.750
Cs 0.438 0.125 0.250
Sn 0.000 0.000 0.000
P 0.500 0.500 0.000
Sn 0.750 0.250 0.500
Cs 0.875 0.688 0.750
Cs 0.312 0.625 0.250

=====

Which structure is the most stable? The one labeled #2.

=====

#1
DFT (PBE-GGA) results for crystalline CsSr3P at its relaxed geometry.

Values from the calculation:
Total magnetic moment, μB per formula unit: 0.000

a = 6.224 Å, b = 6.224 Å, c = 6.224 Å
α = 90.00°, β = 90.00°, γ = 90.00°
Element x y z (fractional)
Sr 0.000 0.000 0.500
Cs 0.500 0.500 0.500
Sr 0.000 0.500 0.000
P 0.000 0.000 0.000
Sr 0.500 0.000 0.000

=====

#2
DFT (PBE-GGA) results for crystalline CsSr3P at its relaxed geometry.

Values from the calculation:
Total magnetic moment, μB per formula unit: 1.242

a = 6.031 Å, b = 6.031 Å, c = 6.031 Å
α = 90.00°, β = 90.00°, γ = 90.00°
Last column: magnetic moment on the atom in μB.
Element x y z (fractional)
Sr 0.000 0.000 0.500  0.12
Sr 0.500 0.000 0.000  0.06
P 0.500 0.500 0.500  -0.03
Cs 0.000 0.000 0.000  0.12
Sr 0.000 0.500 0.000  0.06

=====

Which structure is the most stable? The one labeled #1.

=====

#1
DFT (PBE-GGA) results for crystalline Cs2SrP at its relaxed geometry.

Values from the calculation:
Total magnetic moment, μB per formula unit: 0.000

a = 13.663 Å, b = 13.663 Å, c = 10.093 Å
α = 47.40°, β = 47.40°, γ = 90.00°
Element x y z (fractional)
Sr 0.000 0.000 0.000
Cs 0.289 0.625 0.250
Sr 0.750 0.250 0.500
Cs 0.875 0.711 0.750
P 0.250 0.750 0.500
Cs 0.461 0.125 0.250
Cs 0.375 0.539 0.750
P 0.500 0.500 0.000

=====

#2
DFT (PBE-GGA) results for crystalline Cs2SrP at its relaxed geometry.

Values from the calculation:
Total magnetic moment, μB per formula unit: 0.000

a = 6.293 Å, b = 6.293 Å, c = 6.293 Å
α = 60.00°, β = 60.00°, γ = 60.00°
Element x y z (fractional)
Sr 0.500 0.500 0.500
P 0.000 0.000 0.000
Cs 0.250 0.250 0.250
Cs 0.750 0.750 0.750

=====

Which structure is the most stable? The one labeled #1.

=====

#1
DFT (PBE-GGA) results for crystalline Cs2TaP2 at its relaxed geometry.

Values from the calculation:
Total magnetic moment, μB per formula unit: 2.398

a = 3.381 Å, b = 3.381 Å, c = 13.046 Å
α = 82.55°, β = 82.55°, γ = 90.00°
Last column: magnetic moment on the atom in μB.
Element x y z (fractional)
Cs 0.372 0.372 0.256  0.04
P 0.250 0.750 0.500  0.00

By acheiving the daily order of your unit, you earn one bazooka and one energy bar (give you instantly 100 health). Save them until the time you have choosen to do damage!

There's no surprise, but more health you heave, more damage you will do and more helpfull you will be!

If you can fight fight Q7 weapons, you will also do more damage.

As young player, your upgrade priority must be your Training Center! You gain more strength and you do so much more damage! Strength is the 1st damage influence!

You have also rockets, big and small bombs that are doing a huge number of damage. Save them for the battle you've choosen.

Training Center explanation by Thedillpickl

I might add about Training Grounds, the Weights Room (the free one) is of primary importance to everyone. It must be the first thing to get Weights Room to Q4 before anything else is done. This will help you gain strength but most importantly it will maximize gold income from training. Gold is the means to all other upgrades.

I advise against using this gold for anything but upgrades to food factory, buying the FRM company to supply that factory and upgrading the Climbing Center (the 0.19 one). Also, do not use the Climbing Center until it is Q4 or you waste gold. After it is Q4 use both every day for max gold and strength.

DO NOT use a Training Contract unless you have all four Training Grounds at Q4 and then only buy the 90% contract or you waste gold. DO NOT upgrade or use Shooting Range or Special Forces Center unless you have extra gold income. And finaly, ONLY upgrade during the special disount!

Two types of campaign:

-MPP campaigns are campaigns where you can fight from any country that have signed a mpp (alliance) with the country.
-RW campaigns (Resitance War) are campaigns where you need to move to THE COUNTRY ATTACKED. Exemple: Switzerland starts a resistance war with another country. If you want to fight for Switzerland, you will need to moove to the other country!

Getting supplies: here and on IRC

There's two way of getting supplies as swiss citizens. The first one is do the 25 kills in a battle and post a screenshot in the MoD article. I'll detail it after.

The second one is to conect on the IRC (Internet Relay Chat) channel of the country you are fighting for. These channels are generaly located on rizon servors. I'm personaly using http://client00.chat.mibbit.com/ to connect.
There, enter you nickname and the supply channel, put your citizen link and the energy free you have to fight in FF (1000 energy = 100ff). Sometimes, you will be ask of submitting a screenshot. I put these channels on the Battle Order article (see below)

The Swiss official military channel is #swiss.power, you are warmely welcomed, as #eSwitzerland, the official country chanel.

Battle orders article

Every 2 days, I write an article where allied campaigns are update very often. There, you can see 1-5 buttons. You can see different info on it and clicking will re-direct you to the battle page.

You will need the following things to get 10 q7 tanks:

1. Have Swiss citizenship
2. Defeat 25 enemies in one of the battles set as orders by MoD
3. Make screenshot from battle statistics with the day of eRepublik (like that http://prntscr.com/oq0c6 )
4. Comment article with orders with link to your screenshot (You can use for example http://imgur.com/)
5. Vote the article and wait for tanks

Every tanks are given in the 24h. I saw that sometimes when I clic on sending, they aren't really sent. If you haven't receive your tanks, ask me the quickest as you can and I will see -> http://www.erepublik.com/en/citizen/profile/6363440

The buttons are red, but sometimes you can see different colors:
-Yellow for a top priority battle. It means that you should all fight in this one.
-Grey for a campaign where you shouldn't fight.
-Green for campaigns against a country that occupy us.

If you have any remarks, comments or ortography mistakes, please pm me!

Thank you for voting and sharing my article to Swiss citizens.

Swiss MoD